+++
Compound: VSnPbO2
Source: Alexandria via LeMat-Bulk
Functional: GGA+U
Structure: relaxed

a = 4.056 Å, b = 4.056 Å, c = 6.245 Å
α = 90.00°, β = 90.00°, γ = 90.00°
Atoms (fractional coordinates):
1 V 0.000 0.000 0.000
2 Sn 0.500 0.500 0.500
3 Pb 0.500 0.500 0.000
4 O 0.000 0.500 0.500
5 O 0.500 0.000 0.500

Computed properties:
calculated density = 6607 kg/m³
symmetry = P4/mmm
DFT total energy = -4.932 eV per atom

~~~~~

{"formula": "CsMnAl2Ag", "functional": "PBE", "state": "optimized geometry", "cell": [[5.9646, 0.0000, 0.0000], [0.0000, 5.9646, 0.0000], [0.0000, 0.0000, 5.5696]], "species": ["Cs", "Mn", "Al", "Al", "Ag"], "frac_coords": [[0.0000, 0.0000, 0.0000], [0.0000, 0.0000, 0.5000], [0.0000, 0.5000, 0.0000], [0.5000, 0.0000, 0.0000], [0.5000, 0.5000, 0.5000]], "crystal_system": "tetragonal", "total_magnetization_mub_per_fu": 3.7, "e_form_ev_per_atom": 1.990, "dos_ef_per_ev_atom": 0.805}

=====

{"formula": "Pr3Sm2Dy5", "functional": "PBE", "state": "optimized geometry", "cell": [[5.3731, -8.2167, 0.0000], [5.3731, 8.2167, 0.0000], [-5.3728, 0.0000, 7.6685]], "species": ["Pr", "Pr", "Pr", "Pr", "Pr", "Pr", "Sm", "Sm", "Sm", "Sm", "Dy", "Dy", "Dy", "Dy", "Dy", "Dy", "Dy", "Dy", "Dy", "Dy"], "frac_coords": [[0.0179, 0.9821, 0.7500], [0.2237, 0.4752, 0.4535], [0.4752, 0.2237, 0.9535], [0.5248, 0.7763, 0.0465], [0.7763, 0.5248, 0.5465], [0.9821, 0.0179, 0.2500], [0.0143, 0.2761, 0.0443], [0.2761, 0.0143, 0.5443], [0.7239, 0.9857, 0.4557], [0.9857, 0.7239, 0.9557], [0.1225, 0.3933, 0.7646], [0.2242, 0.7758, 0.7500], [0.2790, 0.7210, 0.2500], [0.3933, 0.1225, 0.2646], [0.4763, 0.5237, 0.2500], [0.5237, 0.4763, 0.7500], [0.6067, 0.8775, 0.7354], [0.7210, 0.2790, 0.7500], [0.7758, 0.2242, 0.2500], [0.8775, 0.6067, 0.2354]], "crystal_system": "monoclinic", "total_magnetization_mub_per_fu": 0.0, "e_form_ev_per_atom": 0.182, "dos_ef_per_ev_atom": 1.678}

=====

{"formula": "TiBeZnRh", "functional": "PBE", "state": "optimized geometry", "cell": [[0.0000, 2.9846, 2.9846], [2.9846, 0.0000, 2.9846], [2.9846, 2.9846, 0.0000]], "species": ["Ti", "Be", "Zn", "Rh"], "frac_coords": [[0.0000, 0.0000, 0.0000], [0.5000, 0.5000, 0.5000], [0.2500, 0.2500, 0.2500], [0.7500, 0.7500, 0.7500]], "crystal_system": "cubic", "total_magnetization_mub_per_fu": 0.0, "e_form_ev_per_atom": -0.364, "dos_ef_per_ev_atom": 0.901}

=====

{"formula": "Hf3Ti2Sn", "functional": "PBE", "state": "optimized geometry", "cell": [[2.1328, -6.8894, 0.0000], [2.1328, 6.8894, 0.0000], [0.0000, 0.0000, 4.1818]], "species": ["Hf", "Hf", "Hf", "Ti", "Ti", "Sn"], "frac_coords": [[0.0000, 0.0000, 0.0000], [0.3304, 0.6696, 0.0000], [0.6696, 0.3304, 0.0000], [0.1757, 0.8243, 0.5000], [0.8243, 0.1757, 0.5000], [0.5000, 0.5000, 0.5000]], "crystal_system": "orthorhombic", "total_magnetization_mub_per_fu": 0.0, "e_form_ev_per_atom": -0.152, "dos_ef_per_ev_atom": 1.012, "polymorph_energy_ev_per_fu": 0.00}

=====

{"formula": "Fe2ReRu", "functional": "PBE", "state": "optimized geometry", "cell": [[2.6319, -3.5953, 0.0000], [2.6319, 3.5953, 0.0000], [0.0000, 0.0000, 2.6360]], "species": ["Fe", "Fe", "Re", "Ru"], "frac_coords": [[0.0000, 0.5000, 0.0000], [0.5000, 0.0000, 0.0000], [0.0000, 0.0000, 0.5000], [0.5000, 0.5000, 0.5000]], "crystal_system": "orthorhombic", "total_magnetization_mub_per_fu": 0.0, "e_form_ev_per_atom": 0.123, "dos_ef_per_ev_atom": 1.150}

=====

{"formula": "GdPaHgBi", "functional": "PBE", "state": "optimized geometry", "cell": [[0.0000, 3.8137, 3.8137], [3.8137, 0.0000, 3.8137], [3.8137, 3.8137, 0.0000]], "species": ["Gd", "Pa", "Hg", "Bi"], "frac_coords": [[0.0000, 0.0000, 0.0000], [0.5000, 0.5000, 0.5000], [0.7500, 0.7500, 0.7500], [0.2500, 0.2500, 0.2500]], "crystal_system": "cubic", "total_magnetization_mub_per_fu": 10.1, "e_form_ev_per_atom": -0.187, "dos_ef_per_ev_atom": 2.089}

=====
+++

Please count the lines further up that contain the word "Al" and give the number alone.

1